Food & Drink

So good you’ll be thinking for reasons to drive between Belfast and Derry - Eating Out at Dawsons in Castledawson

A meal of the highest quality, served in a stylish restaurant by lovely people

Next to the entry, the page also holds calculated crystals:
- - -
(1)
Here is a relaxed structure of BaMgWF7 from the Materials Project. Energies are from GGA+U.

The value obtained for the energy with MP2020 corrections is -6.411 eV per atom. Its calculated density is 5.5 g/cm3. As for the energy relative to the elements: -3423 meV per atom.

Cell: 5.7225 10.2285 9.9376 Å, 90.00 92.57 90.00°
Space group P2_1/c (No. 14)
Inequivalent atoms, fractional coordinates:
Ba  0.2326  0.1724  0.0031 (multiplicity 4)
Mg  0.1871  0.6072  0.8100 (multiplicity 4)
W  0.3064  0.6118  0.1852 (multiplicity 4)
F  0.0112  0.7183  0.2502 (multiplicity 4)
F  0.1047  0.5414  0.6312 (multiplicity 4)
F  0.1258  0.0595  0.6244 (multiplicity 4)
F  0.2362  0.6970  0.9916 (multiplicity 4)
F  0.3663  0.0459  0.3766 (multiplicity 4)
F  0.3966  0.5417  0.3774 (multiplicity 4)
F  0.4737  0.7120  0.7506 (multiplicity 4)

=====

(2)
Here is a relaxed structure of Ba2Mn2F11 from the Materials Project. Energies are from GGA+U.

The value obtained for the energy with MP2020 corrections is -6.097 eV per atom. Its calculated density is 4.0 g/cm3. As for the energy relative to the elements: -3216 meV per atom.

Cell: 7.7361 7.7361 14.0875 Å, 90.00 90.00 120.00°
Space group P3_2 (No. 145)
Inequivalent atoms, fractional coordinates:
Ba  0.1494  0.4135  0.0000 (multiplicity 3)
Ba  0.5385  0.1640  0.8474 (multiplicity 3)
Mn  0.0391  0.5793  0.7581 (multiplicity 3)
Mn  0.1957  0.0457  0.5733 (multiplicity 3)
F  0.0366  0.7807  0.5972 (multiplicity 3)
F  0.1007  0.0090  0.9323 (multiplicity 3)
F  0.1255  0.0243  0.4478 (multiplicity 3)
F  0.1350  0.5159  0.6517 (multiplicity 3)
F  0.2566  0.5594  0.4634 (multiplicity 3)
F  0.2889  0.1004  0.6959 (multiplicity 3)
F  0.3596  0.0241  0.1691 (multiplicity 3)
F  0.3686  0.3225  0.5490 (multiplicity 3)
F  0.4035  0.0036  0.5322 (multiplicity 3)
F  0.4226  0.3485  0.0274 (multiplicity 3)
F  0.5219  0.3008  0.3759 (multiplicity 3)

=====

(3)
Here is a relaxed structure of Ba3MnF12 from the Materials Project. Energies are from GGA+U.

The energy above the most stable polymorph in this dataset is 26 meV per atom. The value obtained for the energy with MP2020 corrections is -5.259 eV per atom. Its calculated density is 3.0 g/cm3. As for the energy relative to the elements: -2890 meV per atom.

Cell: 8.5451 15.2980 6.7228 Å, 90.00 119.34 90.00°
Space group C2/m (No. 12)
Inequivalent atoms, fractional coordinates:
Ba  0.0000  0.0000  0.0000 (multiplicity 2)
Ba  0.2500  0.2500  0.5000 (multiplicity 4)
Mn  0.0000  0.5000  0.5000 (multiplicity 2)
F  0.0339  0.1115  0.3067 (multiplicity 8)
F  0.0992  0.2396  0.7653 (multiplicity 8)
F  0.1511  0.4161  0.6889 (multiplicity 8)

=====

(4)
Here is a relaxed structure of BaMnF4 from the Materials Project. Energies are from GGA+U.
- - -
The calculated crystals stop here:

Dawsons of Castledawson. Picture Margaret McLaughlin please by-line  5-5-2024
You'll be thinking of excuses to stop in Castledawson for an excuse to visit Dawsons restaurant (MARGARET MCLAUGHLIN PHOTOGRAPHY )
43 Main Street,
Co Derry,
BT45 8AA
028 7946 8767

I spend a lot of time thinking about food. Not as much as I do eating it, but still. I think about lunch while I’m having breakfast. I think about dinner while I’m eating lunch. I think about savoury snacks while I’m eating sweet ones. And vice versa.

What can I say? It’s not something I’m proud of, but I’ve learned to accept it. My name is Dominic, and I’m greedy.

So it came as a shock when, the other Sunday, I realised that not only was I starving, but I also had no idea what or when I would be eating next.

It was mid-afternoon. My wife, daughter, and I were driving back to Derry from the mysterious east – Lisburn, to be exact – where we had spent our time at the Lagan Valley leisure complex, being carried serenely around the lazy river and hurling ourselves gracelessly down slides.

We’d just gone through Antrim when the truth dawned on us that the obligatory post-swimming baths packet of crisps had not done the trick. We needed something substantially more substantial than a bag of Tayto.

There came the stirring of a distant memory. Wasn’t there somewhere in Castledawson? Dawsons, was it? Cue some frantic backseat Googling, a quick phone call and, Bob’s your uncle, we had a table booked.

Castledawson’s main street was deserted when we arrived, so we were able to park bang outside. We weren’t the only ones in the restaurant, though, and it filled up while we were there. The locals clearly know a good thing when there’s one on their doorstep.

Dawsons of Castledawson. Picture Margaret McLaughlin please by-line  5-5-2024

And Dawsons is a very good thing indeed. It’s done out tastefully, all calm blues and warm browns, leather and wood. It feels spacious and light, with a balcony at the back overlooking a charming garden with a touch of the wild about it.

Dawsons is open only on Friday and Saturday evenings, and Sundays from lunchtime to 6.30pm. They do tasting menus, as well as the standard menu. We, naturally, got the Sunday menu which, in addition to the traditional roasts, includes some Friday and Saturday items. It’s not a long menu, and there didn’t appear to be a vegetarian option, but it was all we needed.

Data records from another source follow.
┌──
[1]
The following is a DFT calculation (PBE-GGA) of a geometry-optimized AlTlSiO4 structure.

Cell: 5.580 7.368 9.128 Å, 90.00 90.00 90.00°
Atoms (fractional coordinates):
Al: 0.250 0.999 0.568
Al: 0.250 0.501 0.068
Al: 0.750 0.499 0.932
Al: 0.750 0.001 0.432
Tl: 0.250 0.626 0.748
Tl: 0.750 0.126 0.752
Tl: 0.750 0.374 0.252
Tl: 0.250 0.874 0.248
Si: 0.750 0.813 0.087
Si: 0.750 0.687 0.587
Si: 0.250 0.313 0.413
Si: 0.250 0.187 0.913
O: 0.031 0.148 0.442
O: 0.250 0.108 0.744
O: 0.750 0.608 0.756
O: 0.750 0.541 0.463
O: 0.250 0.041 0.037
O: 0.969 0.648 0.058
O: 0.469 0.352 0.942
O: 0.469 0.148 0.442
O: 0.250 0.392 0.244
O: 0.750 0.959 0.963
O: 0.250 0.459 0.537
O: 0.531 0.648 0.058
O: 0.531 0.852 0.558
O: 0.031 0.352 0.942
O: 0.750 0.892 0.256
O: 0.969 0.852 0.558

Computed properties:
**Space group**: No. 62
**Uncorrected energy**: -0.2427 hartree per atom
**M_tot**: 0.00 μB/atom



[2]
The following is a DFT calculation (PBE-GGA) of a geometry-optimized AlTlSiO4 structure.

Cell: 5.257 7.444 13.063 Å, 90.00 90.00 86.99°
Atoms (fractional coordinates):
Al: 0.251 0.979 0.463
Al: 0.249 0.521 0.963
Al: 0.751 0.479 0.037
Al: 0.749 0.021 0.537
Tl: 0.230 0.513 0.757
Tl: 0.730 0.013 0.743
Tl: 0.770 0.487 0.243
Tl: 0.270 0.987 0.257
Si: 0.742 0.768 0.913
Si: 0.758 0.732 0.413
Si: 0.242 0.268 0.587
Si: 0.258 0.232 0.087
O: 0.019 0.158 0.519
O: 0.261 0.188 0.703
O: 0.761 0.688 0.797
O: 0.777 0.516 0.410
O: 0.277 0.016 0.090
O: 0.969 0.663 0.990
O: 0.481 0.342 0.019
O: 0.469 0.163 0.510
O: 0.239 0.312 0.203
O: 0.723 0.984 0.910
O: 0.223 0.484 0.590
O: 0.519 0.658 0.981
O: 0.531 0.837 0.490
O: 0.031 0.337 0.010
O: 0.739 0.812 0.297
O: 0.981 0.842 0.481

Computed properties:
**Space group**: No. 14
**Uncorrected energy**: -0.2385 hartree per atom
**M_tot**: 0.00 μB/atom



[3]
The following is a DFT calculation (PBE-GGA) of a geometry-optimized SmAlO3 structure.

Cell: 5.313 5.358 7.531 Å, 90.00 90.00 90.00°
Atoms (fractional coordinates):
Sm: 0.492 0.007 0.250
Sm: 0.008 0.507 0.750
Sm: 0.992 0.493 0.250
Sm: 0.508 0.993 0.750
Al: 0.000 0.000 0.000
Al: 0.500 0.500 0.000
Al: 0.500 0.500 0.500
Al: 0.000 0.000 0.500
O: 0.242 0.258 0.038
O: 0.258 0.758 0.962
O: 0.742 0.242 0.462
O: 0.758 0.742 0.538
O: 0.758 0.742 0.962
O: 0.742 0.242 0.038
O: 0.258 0.758 0.538
O: 0.242 0.258 0.462
O: 0.003 0.930 0.250
O: 0.497 0.430 0.750
O: 0.503 0.570 0.250
O: 0.997 0.070 0.750

Computed properties:
**Space group**: No. 62
**Uncorrected energy**: -0.2919 hartree per atom
**M_tot**: 0.00 μB/atom



[4]
The following is a DFT calculation (PBE-GGA) of a geometry-optimized Sm3Al5O12 structure.

Cell: 10.622 10.622 10.622 Å, 109.47 109.47 109.47°
Atoms (fractional coordinates):
Sm: 0.750 0.125 0.375
Sm: 0.375 0.125 0.250
Sm: 0.875 0.625 0.250
Sm: 0.250 0.375 0.125
Sm: 0.375 0.750 0.125
Sm: 0.125 0.250 0.375
Sm: 0.875 0.750 0.625
Sm: 0.625 0.250 0.875
Sm: 0.750 0.625 0.875
Sm: 0.625 0.875 0.750
Sm: 0.125 0.375 0.750
Sm: 0.250 0.875 0.625
Al: 0.875 0.250 0.125
Al: 0.500 0.000 0.000
└──

In fact, it was more than I needed, as I struggled to choose between the roast and the braised beef. Luckily, the beef was on the children’s menu, and my daughter chose it, so I ordered the roast, counting on her not finishing hers.

Dawsons of Castledawson. Picture Margaret McLaughlin please by-line  5-5-2024

Fat chance. She devoured it. I did sneak a forkful, though, and I can’t say I blame her for wolfing it down. The meat was succulent and melting, sitting in a rich, deep sauce full of earthy mushrooms, sweet carrot and salty bacon.

As well as her own meal, my daughter made regular trips to my plate, scooping up spoonfuls of the creamy mash and flavourful gravy. I kept her away from the moist turkey and thick, salty ham, mind, and I wasn’t letting her near the crisp and soft roast potatoes or the beautifully caramelised parsnips and carrots. My wife’s cod was fantastic – easy flakes of subtle meat, crispy skin and a delicious, mussely sauce dotted with chunks of salmon.

As well as her own meal, my daughter made regular trips to my plate, scooping up spoonfuls of the creamy mash and flavourful gravy. I kept her away from the moist turkey and thick, salty ham, mind, and I wasn’t letting her near the crisp and soft roast potatoes

My only – very slight – criticism of the meal is of my dessert. My rice pudding was creamy and soft, with a lovely raspberry jelly and crunchy, candied nuts, but I could have done with it being a touch warmer.

Faultless sticky toffee pudding, mind, declared the best ever tasted by my wife, rather hurtfully, as it’s one of my specialities. She’s right, though. A wonderfully light sponge soaking in a gorgeous sauce. My daughter’s Eton mess was great, too: sweet, creamy, crunchy.

As I say, we didn’t have the slightest intention of coming here. We got lucky. This wasn’t just a necessary refuelling stop; this was a meal of the highest quality, served in a stylish restaurant by lovely people.

Now, I’m trying to think of reasons to go to Belfast – Fridays, Saturdays and Sundays only, of course – just so we can stop off here on the way back.

The bill

Child’s cheesy garlic bread - £2.00

Roast turkey and ham - £17.95

Pan-fried cod - £17.95

Child’s braised beef - £7.50

Sticky toffee pudding - £6.00

Baked vanilla rice pudding - £6.00

Child’s Eton mess - £3.99

Coca-Cola x 2 - £7.00

Total: £68.39

Dawsons of Castledawson. Picture Margaret McLaughlin please by-line  5-5-2024